It is also possible to attach frame components, including rigid bodies, directly to FEM models, using the attachment component FrameFem3dAttachment. Analogously to PointFem3dAttachment, the attachment is implemented by connecting the frame to a set of FEM nodes, and attachments can be either element-based or nodal-based. The frame’s origin is computed in the same way as for point attachments, using a weighted sum of node positions (Equation 6.2), while the orientation is computed using a polar decomposition on a deformation gradient determined from either element shape functions (for element-based attachments) or a Procrustes type analysis using nodal rest positions (for nodal-based attachments).
- - -
one) # C5H6N

A cluster of 2 separate species, C5H6N in total (wB97M-V/def2-TZVPD, the OMol25 dataset).

Geometry as ORCA input:
```
! RIJCOSX wB97M-V def2-TZVPD def2/J DEFGRID3
* xyz 1 3
C -3.2613 0.0061 0.1662
C -2.1189 -0.0503 -0.1512
C 1.7530 -1.3786 -0.1082
C 0.7742 0.9531 0.3937
C 0.0543 0.4029 -0.7599
N 0.9936 -0.3773 -0.2246
H -4.0729 0.4716 0.6927
H 2.4658 -1.4481 0.6852
H 1.5356 -2.2898 -0.6403
H 1.4575 1.7786 0.2819
H 0.2213 1.0143 1.3010
H 0.1978 0.9174 -1.6365
*
```

Results
- HOMO-LUMO gap (spin up / spin down) (eV) = 8.44 / 7.87
- expectation value of S² = 2.0284

two) # C5H6N

The ion C5H6N with charge +1 (wB97M-V/def2-TZVPD, the OMol25 dataset).

Geometry as ORCA input:
```
! RIJCOSX wB97M-V def2-TZVPD def2/J DEFGRID3
* xyz 1 3
C 0.8130 -1.8962 -0.1356
C -0.4483 -2.0286 0.3176
C -1.3151 -0.9410 0.3622
C -0.7846 0.3699 0.1381
C 1.2798 1.5285 -0.3931
N 0.4672 0.4741 -0.0519
H -0.8219 -3.0304 0.5274
H -2.3790 -1.0746 0.5141
H -1.4671 1.2201 0.1376
H 1.9796 1.1940 -1.1711
H 1.9366 1.7538 0.4598
H 0.7399 2.4305 -0.7052
*
```

Results
- HOMO-LUMO gap (spin up / spin down) (eV) = 8.43 / 7.21
- expectation value of S² = 2.1067

Stability order, top to bottom: two), one)

one) # C4H7F3OSi

A cluster of 2 separate species, C4H7F3OSi in total (wB97M-V/def2-TZVPD, the OMol25 dataset).

Geometry as ORCA input:
```
! RIJCOSX wB97M-V def2-TZVPD def2/J DEFGRID3
* xyz 0 1
C -4.0469 1.9903 -0.6440
C 0.4271 -0.5572 1.5262
C -0.7356 1.0569 -0.8430
C -1.8368 -1.7488 -0.0906
O -3.9657 2.2701 0.4620
F -2.3696 -2.0972 -1.2921
F -2.9031 -1.1047 0.4590
F -1.6481 -2.8869 0.6097
Si -0.2108 -0.6294 -0.2434
H 1.2947 -0.0841 1.8181
H -0.2875 -0.0803 2.2693
H 0.5925 -1.5291 1.8753
H -1.4051 1.1912 -1.6252
H -1.1506 1.6264 -0.0079
H 0.3028 1.5402 -1.1231
H 0.6174 -1.1465 -1.3074
*
```

Results
- HOMO-LUMO gap (eV) = 12.16

two) # C4H7F3OSi

A cluster of 2 separate species, C4H7F3OSi in total (wB97M-V/def2-TZVPD, the OMol25 dataset).

Geometry as ORCA input:
```
! RIJCOSX wB97M-V def2-TZVPD def2/J DEFGRID3
* xyz 0 1
C -1.2936 -0.8332 2.1158
C -1.3468 0.4024 -2.0750
C 1.6207 0.9378 -0.7416
C 0.0680 -1.6093 2.2965
O -1.3157 -0.0953 1.1090
F -0.0950 -2.9602 2.0449
F 0.5893 -1.5428 3.5652
F 1.1183 -1.1665 1.5637
Si -0.2702 1.2216 -0.7531
H -2.2294 -0.2294 -1.6956
H -1.5998 1.0075 -3.1195
H -0.7094 -0.3211 -2.5014
H 2.1125 1.9023 -0.5954
H 2.0229 0.3877 0.2109
H 1.9423 0.4916 -1.6594
H -0.6139 2.4069 0.2351
*
```

Results
- HOMO-LUMO gap (eV) = 6.12

Stability order, top to bottom: one), two)
- - -
An element-based attachment can be created using either a code fragment of the form
or, equivalently, the attachFrame() method in MechModel:
This attaches the frame frame to the nodes of the FEM element elem. As with PointFem3dAttachment, if the frame’s origin is not inside the element, it may not be possible to accurately compute the internal nodal weights, in which case setFromElement() will return false.
In order to have the appropriate element located automatically, one can instead use
or, equivalently,
As with point-to-FEM attachments, it may be desirable to create a nodal-based attachment in which the nodes and weights are not tied to a specific element. The reasons for this are generally the same as with nodal-based point attachments (Section 6.4.8): the need to distribute the forces and moments acting on the frame across a broader set of element nodes. Also, element-based frame attachments use element shape functions to determine the frame’s orientation, which may produce slightly asymmetric results if the frame’s origin is located particularly close to a specific node.
FrameFem3dAttachment provides several methods for explicitly specifying nodes and weights. The signatures for these include:
Unlike their counterparts in PointFem3dAttachment, the first two methods also require the current desired pose of the frame TFW (in world coordinates). This is because while nodes and weights will unambiguously specify the frame’s origin, they do not specify the desired orientation.
A model illustrating how to connect frames to an FEM model is defined in
It creates an FEM beam, along with a rigid body block and a massless coordinate frame, that are then attached to the beam using nodal and element-based attachments. The build method is shown below:
Lines 3-22 create a MechModel and populate it with an FEM beam and a rigid body box. Next, a basic Frame is created, with a specified pose and an axis length of 0.3 (to allow it to be seen), and added to the MechModel (lines 25-28). It is then attached to the FEM beam using an element-based attachment (line 30). Meanwhile, the box is attached to using a nodal-based attachment, created from all the nodes associated with elements 22 and 31 (lines 33-36). Finally, all attachment nodes are set to be rendered as green spheres (lines 39-41).
To run this example in ArtiSynth, select All demos > tutorial > FrameFemAttachment from the Models menu. Running the model will cause it to settle into the state shown in Figure 6.12. Forces can interactively be applied to the attached block and frame using the pull tool, causing the FEM model to deform (see the section “Pull Manipulation” in the ArtiSynth User Interface Guide).
The ability to connect frames to FEM models, as described in Section 6.6, makes it possible to interconnect different FEM models directly using joints, as described in Section 3.3. This is done internally by using FrameFem3dAttachments to connect frames C and D of the joint (Figure 3.8) to their respective FEM models.
As indicated in Section 3.3.3, most joints have a constructor of the form
that creates a joint connecting bodyA to bodyB, with the initial pose of the D frame given (in world coordinates) by TDW. The same body and transform settings can be made on an existing joint using the method setBodies(bodyA, bodyB, TDW). For these constructors and methods, it is possible to specify FEM models for bodyA and/or bodyB. Internally, the joint then creates a FrameFem3dAttachment to connect frame C and/or D of the joint (See Figure 3.8) to the corresponding FEM model.
However, unlike joints involving rigid bodies or frames, there are no
Someone pasted molecular data at this point >
┌──
Entry 1:
Formula: C19H24ClN2
Source: OMol25
Level of theory: ωB97M-V/def2-TZVPD

The geometry in XYZ format:
```
46
Properties=species:S:1:pos:R:3:lowdin_charge:R:1
C 2.539 -0.188 2.562 0.01
N 2.472 0.929 1.608 -0.21
C 3.824 1.342 1.206 -0.01
H 4.360 0.491 0.791 0.08
H 4.371 1.728 2.065 0.12
H 3.772 2.117 0.444 0.11
C 1.674 2.067 2.130 -0.13
C 0.166 1.853 2.023 -0.11
H -0.300 2.597 2.668 0.13
H -0.113 0.876 2.419 0.11
C -0.416 2.002 0.595 -0.14
N -0.960 0.747 0.122 -0.05
C -0.083 -0.325 -0.049 -0.18
C 1.166 -0.155 -0.662 -0.09
C 2.025 -1.246 -0.791 -0.65
C 1.669 -2.491 -0.307 -0.09
C 0.435 -2.646 0.308 0.00
C -0.434 -1.579 0.467 -0.16
C -1.753 -1.711 1.155 -0.12
C -2.891 -1.650 0.137 -0.12
C -3.091 -0.328 -0.560 -0.14
C -4.286 -0.202 -1.265 -0.04
C -4.612 0.932 -1.978 -0.07
C -3.712 1.981 -2.016 -0.07
C -2.519 1.879 -1.331 -0.03
C -2.197 0.748 -0.578 -0.15
H -1.815 2.693 -1.406 0.11
H -3.928 2.872 -2.584 0.11
H -5.550 0.993 -2.506 0.11
H -4.977 -1.032 -1.245 0.12
H -3.825 -1.906 0.644 0.12
H -2.719 -2.418 -0.625 0.13
H -1.804 -2.660 1.690 0.12
H -1.882 -0.898 1.874 0.12
H 0.156 -3.616 0.688 0.13
H 2.336 -3.330 -0.415 0.11
Cl 3.576 -1.006 -1.543 0.72
H 1.400 0.765 -1.179 0.13
H 0.340 2.430 -0.078 0.12
H -1.246 2.706 0.640 0.13
H 1.955 2.227 3.174 0.14
H 1.945 2.963 1.569 0.14
H 1.976 0.553 0.743 0.10
H 3.087 0.113 3.453 0.12
H 3.045 -1.033 2.100 0.11
H 1.538 -0.503 2.848 0.10
```

Results
Orbital gap: 8.401 eV
Total charge: +1
Relative energy (zero: lowest compared OMol25 entry of this formula, charge and spin): 0.0 kcal per mole
2S+1: 1
Lowest unoccupied orbital energy: -2.4628 eV
Structure (SMILES): C[NH+](C)CCCN1c2ccccc2CCc2ccc(Cl)cc21


Entry 2:
Formula: C19H24ClNW
Source: OMol25
Level of theory: ωB97M-V/def2-TZVPD

The geometry in XYZ format:
```
46
Properties=species:S:1:pos:R:3:mulliken_spin:R:1
C 0.195 0.698 -5.221 0.04
C 1.581 1.263 -5.419 0.00
C -0.038 -0.662 -5.825 0.00
C -0.919 1.693 -5.431 0.00
Cl 0.105 0.295 -3.009 0.05
H -0.029 -0.637 -6.923 0.00
H -1.007 -1.047 -5.499 0.00
H 0.740 -1.352 -5.492 0.00
H 1.792 1.491 -6.480 0.00
H 2.335 0.544 -5.070 0.00
H 1.699 2.194 -4.845 0.00
H -1.043 1.959 -6.497 0.00
H -0.716 2.619 -4.874 0.00
H -1.869 1.274 -5.073 0.00
C 1.597 -0.920 1.723 0.07
C 0.956 -1.954 1.016 0.01
C 1.193 -1.782 -0.385 0.02
H 0.444 -2.802 1.446 0.00
C 2.057 -0.616 -0.530 -0.03
C 2.246 -0.071 0.791 -0.02
H 2.848 0.809 1.017 0.00
H 1.620 -0.791 2.810 0.00
H 0.937 -2.452 -1.193 0.00
H 2.567 -0.343 -1.447 0.00
C -1.807 0.971 0.786 -0.02
C -1.528 -0.349 1.217 0.07
C -1.757 -1.237 0.130 -0.05
H -1.272 -0.616 2.234 0.01
C -2.191 -0.485 -0.989 0.01
C -2.237 0.902 -0.594 -0.01
H -2.608 1.723 -1.198 0.00
H -1.804 1.826 1.438 0.01
H -1.705 -2.331 0.176 0.01
H -2.542 -0.904 -1.938 0.00
W -0.169 0.154 -0.500 1.78
C 1.662 4.884 -0.671 0.02
C 0.354 4.626 -0.283 -0.01
C -0.140 3.336 -0.239 0.02
N 0.624 2.220 -0.528 -0.02
C 1.879 2.492 -1.023 0.03
C 2.430 3.774 -1.051 0.00
H 2.081 5.875 -0.661 0.00
H -0.331 5.423 0.018 0.00
└──
Here the article continues >
associated or
transforms (since there is no fixed
frame within an FEM to define such transforms). Methods or
- - -
Entry 1:
Here is a single C21H16BrN3O2S molecule from the Open Molecules 2025 dataset. Energies are from ωB97M-V/def2-TZVPD.

## Properties
SMILES string: Cc1c(C=C2C(=O)NC(=S)NC2=O)c2ccccc2n1Cc1ccc(Br)cc1
Orbital gap, eV: 7.01
E_HOMO, eV: -8.31
Energy relative to the best compared isomer or geometry (same formula, charge and spin), kJ/mol: 301.6
E, eV: -111477.539

Element x y z (Å)
1 O 0.397 4.072 3.381
2 O 1.712 0.023 2.135
3 S -0.723 0.277 6.269
4 Br -0.386 -6.186 0.705
5 C 0.012 2.896 3.422
6 C 1.105 0.797 2.825
7 C 0.139 1.069 5.027
8 C 0.324 2.413 1.006
9 C 0.548 2.045 2.332
10 C 0.206 1.644 -0.128
11 C -0.590 0.635 -0.359
12 C 2.685 2.606 -2.930
13 C 2.200 1.695 -3.846
14 C 0.237 -3.746 -0.413
15 C -1.936 -4.431 -1.212
16 C 2.031 2.636 -1.644
17 C 1.155 0.880 -3.513
18 C 0.024 -2.545 -0.973
19 C -2.181 -3.199 -1.764
20 C -0.731 -4.720 -0.550
21 C 0.970 1.787 -1.354
22 C 0.505 0.874 -2.289
23 C -1.219 -2.195 -1.656
24 N -0.214 2.341 4.684
25 N 0.746 0.355 4.071
26 N -0.526 0.147 -1.674
27 C -1.621 0.095 0.546
28 C -1.436 -0.781 -2.337
29 H -0.050 3.316 0.775
30 H 3.463 3.315 -3.143
31 H 2.632 1.490 -4.808
32 H 1.119 -4.050 0.155
33 H -2.708 -5.237 -1.174
34 H 2.402 3.460 -0.966
35 H 0.852 0.195 -4.267
36 H 0.724 -1.676 -0.799
37 H -3.191 -3.082 -2.141
38 H -0.525 2.994 5.471
39 H 1.169 -0.504 4.340
40 H -1.303 -0.902 0.999
41 H -2.520 -0.174 -0.001
42 H -1.855 0.805 1.271
43 H -2.509 -0.631 -2.043
44 H -1.132 -0.804 -3.430

=====

Entry 2:
Here is a single C5H5N molecule from the Open Molecules 2025 dataset. Energies are from ωB97M-V/def2-TZVPD.

## Properties
SMILES string: c1ccncc1
Orbital gap, eV: 10.43
E_HOMO, eV: -9.44
Energy relative to the best compared isomer or geometry (same formula, charge and spin), kJ/mol: 27.7
E, eV: -6755.621

Element x y z (Å)
1 C -0.189 1.169 0.001
2 C -1.254 0.287 0.153
3 C -0.977 -1.069 -0.001
4 N 0.255 -1.571 0.081
5 C 1.270 -0.709 0.081
6 C 1.094 0.653 -0.149
7 H -0.360 2.242 -0.028
8 H -2.266 0.634 0.345
9 H -1.758 -1.776 -0.270
10 H 2.260 -1.129 0.256
11 H 1.926 1.271 -0.469

=====

Entry 3:
Here is a single C9H13N2O3P molecule from the Open Molecules 2025 dataset. Energies are from ωB97M-V/def2-TZVPD.

## Properties
SMILES string: CC(=O)/C=C(\O)c1cn(C[P@@H](C)=O)cn1
Orbital gap, eV: 8.74
E_HOMO, eV: -8.35
Energy relative to the best compared isomer or geometry (same formula, charge and spin), kJ/mol: 30.2
E, eV: -27954.292

Element x y z (Å)
1 C -0.046 -0.388 -1.184
2 C -0.058 -0.293 0.931
3 C -0.676 0.759 -0.853
4 C -1.870 2.901 -0.940
5 C -1.243 1.845 -1.620
6 C -2.268 4.073 -1.667
7 C -2.960 5.158 -0.935
8 C 2.682 -4.313 1.455
9 C 0.865 -2.405 -0.016
10 N -0.640 0.815 0.617
11 N 0.348 -1.101 -0.059
12 O -2.189 4.061 -2.889
13 O 3.497 -1.798 0.272
14 O -1.133 1.930 -2.920
15 P 2.446 -2.491 1.035
16 H 0.174 -0.746 -2.158
17 H 0.312 -0.446 1.955
18 H -1.806 2.969 0.136
19 H -2.607 5.275 0.123
20 H -3.043 6.133 -1.353
21 H -4.002 4.726 -0.852
22 H 2.912 -4.669 0.468
23 H 3.417 -4.552 2.223
- - -
constructors which utilize
can therefore
not be used with FEM models.
A model connecting two FEM beams by a joint is defined in
It creates two FEM beams and connects them via a special slotted-revolute joint. The build method is shown below:
Lines 3-16 create a MechModel and populates it with two FEM beams, fem1 and fem2, using an auxiliary method addFem() defined in the model source file. The leftmost nodes of fem1 are set fixed. A SlottedRevoluteJoint is then created to interconnect fem1 and fem2 at a location specified by TDW (lines 19-21). Lines 24-29 set some parameters for the joint, along with various render properties.
To run this example in ArtiSynth, select All demos > tutorial > JointedFemBeams from the Models menu. Running the model will cause it drop and flex under gravity, as shown in 6.13. Forces can interactively be applied to the beams using the pull tool (see the section “Pull Manipulation” in the ArtiSynth User Interface Guide).